
First Fridays with the Crew - Resolutions for the New Year

The year 2019 is only a few days old, and we’re keen to know what’s on everyone’s to-do list for the 12 months ahead. Are you someone who makes New Year's resolutions or not? If you make them, do you stick to them? The gang’s here to share our thoughts, and would love to hear yours, too.

Avril Tremayne

Sydney New Year fireworks
I used to be very strict about my New Year resolutions. I definitely made them, and I always stuck to them. The key, I found, was to make them achievable – for example, I would have said I'll complete a manuscript (which is generally within my control), rather than I'll have a book published – which is way harder to promise yourself when you’re trying to sell to a publisher! I'm sorry to say that 2018 delivered a few hard kicks to my shins, and with real life getting in the way of the idyll in my head, I didn't achieve most of my list. But that makes me more determined in 2019, which I'm hereby declaring as the year I focus on writing romantic comedy exclusively – the genre that brings me the greatest happiness as a writer. I will finish my current work in progress and do it by the end of April 2019. Moreover, I'll get cracking on my next rom com in May 2019. Whew! It feels good to have that said with all of you as my witnesses!

Angi Morgan
Resolutions haven't been my thing. At least not on New Year's Day. I AM a list maker though. At the end of every year my husband basically takes a two-week vacation. It's not a lot of fun because I normally have a ton of things to do. He is supposed to use the time to finish projects. This year is no different with the exception that we've had a lot of home repairs and renovations. I convinced him to make a list and prioritize it himself. I also convinced him not to delete the items...but to mark through them.
   It surprised me that he'd never done that before. 
   It surprised HIM how good he felt when the list began to shrink. It gave him a sense of accomplishment.
   I have a brand new physical-in-my-hands planner for 2019. I'm fully ready to make my lists each week. Part of that will be going to my gym for me AND getting re-settled in our home.  First thing for me is to get Christmas back in the boxes before Jan 5th.  Wishing everyone a fantastic and healthy 2019 !!

Jacqui Nelson

Yearly, monthly, on the spur of the momentI love to make resolutions or goals. I try to make SMART goals (specific, measurable, achievable, realistic, timely) but often (because my natural state when writing is the plodding plotter) the urge to finally fly-by-the-seat-of-my-pants takes over and then... Well, then my resolutions become reoccurring ones.   

Materials data from another source follow:
+++
The following is a theoretical powder XRD pattern of Rb2LiNd2W4O16. It was derived from the GGA+U geometry in Alexandria, using a wavelength of 1.5418 Å.

Atomic structure:
Cell lengths 7.5456, 7.6368, 8.1460 Å; angles 88.54, 63.96, 61.52 degrees
Element x y z (fractional)
Rb 0.0000 0.0000 0.0000
Rb 0.4950 0.4176 0.5909
Li 0.3034 0.2976 0.2695
Nd 0.5185 0.9537 0.9864
Nd 0.9609 0.4647 0.6217
W 0.0388 0.8951 0.4869
W 0.4493 0.5321 0.1028
W 0.5377 0.9041 0.4777
W 0.9524 0.5102 0.1158
O 0.0512 0.4497 0.8618
O 0.1422 0.2580 0.1516
O 0.1742 0.5914 0.0642
O 0.2154 0.5715 0.3843
O 0.2703 0.8448 0.2180
O 0.3174 0.8277 0.5289
O 0.3565 0.1648 0.4511
O 0.4544 0.9709 0.7260
O 0.5535 0.2512 0.0431
O 0.5970 0.6145 0.8782
O 0.7049 0.8133 0.1814
O 0.7064 0.4573 0.1652
O 0.7866 0.6121 0.4188
O 0.8051 0.9611 0.4237
O 0.8945 0.8261 0.7128
O 0.9360 0.1644 0.5724

Main lines, low angle first (10 to 90 degrees two-theta):
| two_theta | I (rel.) |
| --- | --- |
| 16.1 | 23 |
| 25.0 | 44 |
| 27.3 | 54 |
| 28.7 | 100 |
| 30.8 | 35 |
| 31.3 | 25 |

=====

Calculated XRD peak list of DyFe4Ge2 for Cu Kα X-rays, from a DFT-relaxed cell (PBE, Alexandria).

Main lines, in order of rising 2θ (2θ = 15–90°):
Position (°2θ)  I_rel
30.4  31
33.7  58
35.0  43
38.6  100
40.4  39
46.1  25
47.0  25
47.2  38
47.6  37
60.4  18
63.8  20
69.3  23

Atomic structure:
```
DyFe4Ge2
1.0
1.912 -6.876 0.000
1.912 6.876 0.000
0.000 0.000 3.850
Dy Fe Ge
1 4 2
Cartesian
0.000 0.000 0.000
1.912 4.164 1.925
1.912 2.716 0.000
1.912 -2.716 0.000
1.912 -4.164 1.925
1.912 1.286 1.925
1.912 -1.286 1.925
```

=====

1.
The following is a computed powder XRD pattern of Pm7DyTm12. It was derived from a structure optimized by DFT (GGA-PBE), using copper Kα.
Lines closer than 0.1° are merged.

Most intense lines, 10 to 80 degrees two-theta, by intensity:
2θ 31.9, 2.809 Å, I 100; 2θ 33.3, 2.689 Å, I 59; 2θ 32.0, 2.800 Å, I 49; 2θ 30.9, 2.891 Å, I 39; 2θ 29.0, 3.080 Å, I 27; 2θ 55.8, 1.648 Å, I 26

Atomic structure:
Cell: 11.8751 11.8751 16.1417 Å, 90.00 90.00 120.00°
Space group R-3 (No. 148, hexagonal axes)
Unique sites:
Pm 0.0000 0.0000 0.0000 [3 per cell]
Pm 0.0540 0.1885 0.2901 [18 per cell]
Dy 0.0000 0.0000 0.5000 [3 per cell]
Tm 0.0234 0.4483 0.2205 [18 per cell]
Tm 0.0513 0.5862 0.5834 [18 per cell]

=====

2.
The following is a computed powder XRD pattern of Pa2Fe4Re2B. It was derived from a structure optimized by DFT (GGA-PBE), using copper Kα.
Lines closer than 0.1° are merged.

Most intense lines, 10 to 80 degrees two-theta, by intensity:
2θ 39.2, 2.300 Å, I 100; 2θ 44.8, 2.025 Å, I 37; 2θ 31.2, 2.863 Å, I 30; 2θ 23.0, 3.863 Å, I 27; 2θ 78.7, 1.216 Å, I 26; 2θ 67.0, 1.398 Å, I 18
+++

My biggest reoccurring resolution seems to be: develop a better work/life balance. Yes, not a very SMART goalstarting with not very specific. So this year, my New Year's resolution is: write up a detailed list of my work (writing, blogging, volunteering, etc, etc) and my life (social activities, exercise, sleep, etc, etc) and how/why/when/where I spend time on them...AND then at end of each month (with a glass of wine or a cup of coffee in my hand as a reward), revise my list with whatever I've achieved or learned (or did not achieve or learn) from the previous month. Raising my wine glass/coffee cup to all of you in cheers for a New Year full of happy work and life! 

[Data records, kept here for reference]
........
# BaCa2Np2O7
Calculated X-ray powder pattern, copper Kα. Input: the GGA-PBE geometry in Alexandria.
Peak positions follow from Bragg's law for the DFT cell and can differ from measured ones.

Structural model:
Lattice parameters (Å, degrees): 10.164 10.164 10.164 154.25 36.73 154.25
Fractional positions:
Ba 0.000 0.000 0.000
Ca 0.253 0.503 0.750
Ca 0.753 0.503 0.250
Np 0.391 0.003 0.388
Np 0.614 0.003 0.612
O 0.118 0.503 0.615
O 0.275 0.003 0.272
O 0.388 0.503 0.885
O 0.506 0.006 0.500
O 0.618 0.503 0.115
O 0.731 0.003 0.728
O 0.888 0.503 0.385

The 6 most intense peaks (10 to 80 degrees two-theta), by angle:
| 2theta | I/Imax |
| --- | --- |
| 20.14 | 58.3 |
| 24.03 | 87.0 |
| 27.86 | 54.6 |
| 30.43 | 100.0 |
| 39.81 | 55.7 |
| 50.92 | 50.1 |

----------

1.
For NdSc3Se4, a structure optimized by DFT (PBE) gives the computed powder XRD pattern in this record (copper Kα).
Intensities are scaled so that the largest is 1000.

Structural model:
Cell: 3.9213 3.9213 26.5185 Å, 90.00 90.00 120.00°
Sites, in units of the cell vectors:
Nd 0.3333 0.6667 0.2500
Nd 0.6667 0.3333 0.7500
Sc 0.0000 0.0000 0.0000
Sc 0.0000 0.0000 0.5000
Sc 0.3333 0.6667 0.6182
Sc 0.3333 0.6667 0.8818
Sc 0.6667 0.3333 0.1182
Sc 0.6667 0.3333 0.3818
Se 0.0000 0.0000 0.1761
Se 0.0000 0.0000 0.3239
Se 0.0000 0.0000 0.6761
Se 0.0000 0.0000 0.8239
Se 0.3333 0.6667 0.0591
Se 0.3333 0.6667 0.4409
Se 0.6667 0.3333 0.5591
Se 0.6667 0.3333 0.9409

The 10 most intense peaks (2θ from 10° to 80°), sorted by position:
d/Å	2theta	I (rel.)
3.368	26.5	251
2.860	31.3	993
2.693	33.3	1000
1.966	46.2	353
1.961	46.3	646
1.617	56.9	174
1.585	58.2	192
1.266	75.0	190
1.248	76.3	145
1.233	77.4	164

---

2.
For Pm4U2Ru5, a structure optimized by DFT (PBE) gives the computed powder XRD pattern in this record (copper Kα).
Intensities are scaled so that the largest is 1000.

Structural model:
Cell: 10.5969 10.5969 10.5969 Å, 130.84 61.10 146.03°
Sites, in units of the cell vectors:
Pm 0.0543 0.7503 0.8047
Pm 0.1374 0.1202 0.2576
Pm 0.3626 0.6202 0.9828
Pm 0.4457 0.2503 0.6960
Pm 0.5543 0.7497 0.3040
Pm 0.6374 0.3798 0.0172
Pm 0.8626 0.8798 0.7424
Pm 0.9457 0.2497 0.1953
U 0.0531 0.7500 0.3031
U 0.4469 0.7500 0.6969
U 0.5531 0.2500 0.3031
U 0.9469 0.2500 0.6969
Ru 0.0892 0.4384 0.5275
Ru 0.2248 0.8354 0.0601
Ru 0.2500 0.2500 0.0000
Ru 0.2752 0.3354 0.6106
Ru 0.4108 0.9384 0.3492
Ru 0.5892 0.0616 0.6508
Ru 0.7248 0.6646 0.3894
Ru 0.7500 0.7500 0.0000
Ru 0.7752 0.1646 0.9399
Ru 0.9108 0.5616 0.4725

The 10 most intense peaks (2θ from 10° to 80°), sorted by position:
d/Å	2theta	I (rel.)
5.007	17.7	378
2.646	33.9	588
2.633	34.0	1000
2.608	34.4	731
2.560	35.0	529
2.549	35.2	628
2.533	35.4	572
2.501	35.9	523
2.281	39.5	412
1.547	59.8	353

---

3.
For AgBr2F6, a structure optimized by DFT (PBE) gives the computed powder XRD pattern in this record (copper Kα).
Intensities are scaled so that the largest is 1000.

Structural model:
Cell: 8.0054 8.0054 6.6696 Å, 110.10 110.10 64.54°
Sites, in units of the cell vectors:
........
[So much for the data records]

 Lizbeth Selvig
Like most of my GLIAS sisters I love to make goal lists. And I'm a New Year's Resolution maker from way back. I can't say I'm always successful with every one, but at least I have a roadmap for the year come January 1st. 

This year my first resolution is the absolute most cliche' goal made in the world: to get back in shape and lose weight. I haven't actually had to make this goal in quite a while, but this past year was a disaster in terms of living healthy. So many changes have taken place since my father passed away at the end of 2016 and I completely let myself go. That's ending. I'm usually super active and pretty healthy. That's getting back on track. 

Second, I'm going to figure out how to balance my writing and my personal life. I have a wonderful, close family and two gorgeous grandkids whom I love spending time with. But this all makes me procrastinate on writing, and I'm going to figure out how to create and keep a work/play schedule.  Just like Angi--I have a planner and I'm going to prove I can use it!

Finally, I am going to get three manuscripts done this year. I have them planned--getting them written hinges completely on resolution #2 above!

Resolution…let’s see, what is the definition of this word so freely used prominently this time of year. 1) a firm decision to do or NOT do something. 2) the quality of being determined or resolute. Given this, it means stopping long enough to figure out what it is that comes next. Tools for resolutions: Lists (yes, post-it notes are my extended family, don’t laugh, they keep me on the straight and narrow) and never underestimate the power of a good daily planer or even a calendar! (Remember those?)

In 2018, I went through many “life” changes this past year, enough to make me realize that sometimes the best list can’t hold muster to holding your sleeping grandson for an hour, having lunch with your best friend so she can vent about her day, spending time with a beloved aunt and listen as she tells you stories about your grandparents and their siblings.

You’ve got to enjoy the little things, because one day you’ll realize they were the big things. So…I RESOLVE to be more patient with myself and others, be more appreciative of the precious moment’s life gives us, be more grateful for the family, friends, and the blessings in my life, and yes…to use my creative gifts to hopefully bring a bit of adventure, wonder, and a sense that love will always find a way to my dear readers. 
What’s next? Getting ready for the Booklovers Con readers conference in May 2019. Awaiting the arrival of our second grandchild in June. Deciding on which characters in one of my series is ready for their story to be told. I'm an artist at heart. Every story is a canvas. Every book a painting with words.

Theoretical powder diffraction line list of Sr2Be3SiPt4 for Cu Kα X-rays, from a GGA-PBE-relaxed structure.
Neutral-atom scattering factors, no anomalous dispersion.

a b c (Å): 4.148 4.148 10.011
angles (deg): 90.00 90.00 90.00
Space group P-4m2 (No. 115)
One atom of each set of equivalent atoms:
Sr 0.000 0.500 0.246 (multiplicity 2)
Be 0.000 0.500 0.886 (multiplicity 2)
Be 0.500 0.500 0.500 (multiplicity 1)
Si 0.000 0.000 0.500 (multiplicity 1)
Pt 0.000 0.000 0.000 (multiplicity 1)
Pt 0.000 0.500 0.624 (multiplicity 2)
Pt 0.500 0.500 0.000 (multiplicity 1)

Most intense lines, 10° ≤ 2θ ≤ 90°, in order of falling intensity:
2θ = 31.79°, I = 100, (1 1 1)
2θ = 35.47°, I = 70, (1 1 2)
2θ = 43.64°, I = 56, (2 0 0)
2θ = 27.93°, I = 54, (1 0 2)
2θ = 34.49°, I = 47, (1 0 3)
2θ = 26.71°, I = 37, (0 0 3)
2θ = 47.77°, I = 36, (1 1 4)
2θ = 51.90°, I = 25, (2 0 3)
2θ = 56.77°, I = 23, (2 1 3)
2θ = 72.70°, I = 21, (3 1 1)

***

Theoretical powder diffraction line list of ThBeSiPt6 for Cu Kα X-rays, from a GGA-PBE-relaxed structure.
Neutral-atom scattering factors, no anomalous dispersion.

a b c (Å): 7.811 7.814 11.101
angles (deg): 90.00 90.00 90.00
Space group Imma (No. 74)
One atom of each set of equivalent atoms:
Th 0.000 0.250 0.103 (multiplicity 4)
Be 0.250 0.250 0.750 (multiplicity 4)
Si 0.000 0.000 0.500 (multiplicity 4)
Pt 0.000 0.250 0.378 (multiplicity 4)
Pt 0.000 0.250 0.851 (multiplicity 4)
Pt 0.241 0.014 0.629 (multiplicity 16)

Most intense lines, 10° ≤ 2θ ≤ 90°, in order of falling intensity:
2θ = 32.41°, I = 100, (2 2 0)
2θ = 46.38°, I = 75, (2 2 4)
2θ = 32.26°, I = 47, (0 0 4)
2θ = 46.50°, I = 40, (4 0 0)
2θ = 57.72°, I = 35, (4 0 4)
2θ = 86.18°, I = 24, (6 2 4)
2θ = 77.17°, I = 22, (2 6 0)
2θ = 26.72°, I = 21, (0 1 3)
2θ = 35.36°, I = 17, (2 1 3)
2θ = 67.87°, I = 13, (4 4 0)

***

Theoretical powder diffraction line list of Tm3Be2SiPt9 for Cu Kα X-rays, from a GGA-PBE-relaxed structure.
Neutral-atom scattering factors, no anomalous dispersion.

a b c (Å): 5.7020 5.7020 9.2916
angles (deg): 90.00 90.00 120.00
Space group P-3m1 (No. 164)
One atom of each set of equivalent atoms:
Tm 0.0000 0.0000 0.0000 (multiplicity 1)
Tm 0.3333 0.6667 0.6000 (multiplicity 2)
Be 0.3333 0.6667 0.1537 (multiplicity 2)
Si 0.0000 0.0000 0.5000 (multiplicity 1)
Pt 0.0000 0.5000 0.0000 (multiplicity 3)
Pt 0.1643 0.3286 0.3079 (multiplicity 6)

Most intense lines, 10° ≤ 2θ ≤ 90°, in order of falling intensity:
2θ = 37.70°, I = 100, (0 2 1)
2θ = 41.41°, I = 75, (2 0 2)
2θ = 28.83°, I = 49, (0 0 3)
2θ = 65.48°, I = 23, (2 2 0)
2θ = 54.22°, I = 22, (0 2 4)
2θ = 73.07°, I = 21, (2 2 3)
2θ = 62.56°, I = 13, (2 0 5)
2θ = 78.09°, I = 12, (4 0 1)
2θ = 80.50°, I = 11, (0 4 2)
2θ = 43.06°, I = 11, (0 1 4)

***

Theoretical powder diffraction line list of Sm3Be2Pt5 for Cu Kα X-rays, from a GGA-PBE-relaxed structure.
Neutral-atom scattering factors, no anomalous dispersion.

a b c (Å): 9.961 9.961 3.665
angles (deg): 90.00 90.00 90.00
Space group P4/mbm (No. 127)

What about you? What’s next for you? Whatever it is, I hope it brings you much joy, contentment and satisfaction in the new year!

Here's to all of you making your resolutions and goals and all of you who don't need/want to--have a fantastic 2019 and fill with good times, hard work, smiles and love!

E.E. Burke 

"Now is the accepted time to make your regular annual good resolutions. Next week you can begin paving hell with them as usual." ~ Mark Twain

I used to make resolutions every year then look back on them and think about all the things I didn't accomplish, which was, quite frankly, depressing. You've heard the phrase, "the road to hell is paved with good intentions." According to Mark Twain, the road to hell is paved with good resolutions. Like me, he must've paved that road more than a few times to recognize the nature of the asphalt.

Rather than make a list of resolutions, I intend to jot down two things -- first, my BHAG (big hairy ass goal) for 2019.  Something I really want to accomplish, definitely out of reach at the moment but possibly with maximum effort. Then, I'll do what up until now I haven't done, I'll map out a daily routine that could get me there. 

Well established routines are more powerful than resolutions because getting to any goal requires not just "resolve," but also establishing the necessary habits first. I'll give you an example. For the past four months, I've been following a Weight Watchers program. In that time, I've lost 25 lbs. My "goal weight" is still another 25 lbs. away, but I feel more certain that I'll get there and stay there this time because I've focused primarily on establishing habits rather than focusing on "resolutions." I wasn't particularly good over the holiday, but I've kept up the habits (tracking intake and walking) and haven't entirely run off the road. Habits make it easier to stay on track. I'll let you know how it's going and if I manage to avoid that "road to hell."

Are you someone who makes New Year's resolutions or not? If you make them, do you stick to them?


  1. I make 2 of them and always stick to them when i was young i used to make ones like lose weight and other things like that but not anymore mine are more achieveable ones so i like them peggy clayton

    1. Achievable resolutions are the best, Peggy. No use setting ourselves up for failure. The world has enough challenges waiting for us. Thinking about resolutions, often leads me to think about William Ernest Henley's Invictus poem: I am the master of my fate, I am the captain of my soul.

    2. It's essential to make them achievable! I learned that the hard way...

  2. I listened to a segment yesterday that said when we fail at resolutions, it's easy to push them aside. She encouraged our "lists" to be labeled INTENTIONS. So when you slip...you feel better about restarting the next day. I LIKE THAT.

  3. I enjoyed reading all of these approaches to goal setting/resolution making/planning etc.
    And for me what I discovered that for most writers, real life can change your goals dramatically and yet, these authors and others have figured out a way to keep on going. Thanks for sharing.

    1. Real life put a very big dent in my goals last year, butthat's something I've learned to accept.
